-- Wanted --
Next, reproduce every line underneath that contains the word "C3H3BrF2O2".

-- Input --
********
1) {
  "formula": "C10H9ClN2O",
  "method": "the ωB97M-V functional and the def2-TZVPD basis",
  "species": ["C", "C", "C", "C", "C", "C", "C", "C", "C", "C", "N", "N", "O", "Cl", "H", "H", "H", "H", "H", "H", "H", "H", "H"],
  "coordinates": [[-1.635, -0.055, -0.928], [0.013, -0.314, 1.006], [-2.265, -1.185, -0.639], [-0.704, -1.671, 1.229], [-0.461, 0.421, -0.256], [-1.724, -2.020, 0.412], [1.640, 1.551, -0.118], [2.255, -1.555, 1.317], [0.291, 1.478, -0.656], [-0.093, 2.526, -1.634], [2.212, 0.579, 0.522], [1.518, -0.448, 0.963], [1.781, -2.492, 1.920], [-2.510, -3.565, 0.726], [-1.920, 0.460, -1.730], [-0.107, 0.138, 2.076], [-3.121, -1.390, -1.269], [-0.172, -2.143, 2.022], [2.129, 2.477, -0.457], [3.413, -1.392, 1.064], [0.417, 3.534, -1.421], [-1.152, 2.902, -1.601], [0.194, 2.165, -2.549]],
  "nbo_charge": [-0.17, -0.10, -0.22, -0.20, -0.05, -0.04, -0.01, 0.55, -0.02, -0.65, -0.19, -0.26, -0.58, -0.01, 0.20, 0.21, 0.24, 0.27, 0.20, 0.15, 0.22, 0.23, 0.23],
  "total_charge": 0,
  "smiles": "CC1=C2C=CC(Cl)=C[C@H]2N(C=O)N=C1",
  "e_homo_ev": [-7.99, -7.99]
}


2) {
  "formula": "C10H9ClN2O",
  "method": "the ωB97M-V functional and the def2-TZVPD basis",
  "species": ["C", "C", "C", "C", "C", "C", "C", "C", "C", "C", "N", "N", "O", "Cl", "H", "H", "H", "H", "H", "H", "H", "H", "H"],
  "coordinates": [[1.079, -2.684, 1.555], [-0.207, -2.599, 1.111], [2.073, -1.782, 1.160], [-0.632, -1.627, 0.281], [1.622, -0.759, 0.268], [0.307, -0.667, -0.118], [-3.074, 0.993, 0.829], [0.084, 1.796, -0.668], [-0.046, 0.319, -1.078], [0.303, 2.994, -1.581], [-1.969, 0.790, 0.381], [-1.222, 1.210, -0.719], [-4.024, 0.915, 1.486], [-0.144, -0.303, -2.699], [1.284, -3.468, 2.277], [-0.926, -3.302, 1.513], [3.057, -1.916, 1.477], [-1.653, -1.816, 0.165], [2.369, -0.004, -0.184], [0.709, 1.859, 0.209], [-0.673, 3.260, -2.056], [0.935, 2.897, -2.474], [0.749, 3.894, -1.137]],
  "nbo_charge": [-0.19, -0.21, -0.21, -0.17, -0.16, -0.14, 0.85, -0.07, 0.09, -0.65, -0.42, -0.23, -0.50, 0.01, 0.21, 0.21, 0.22, 0.24, 0.22, 0.22, 0.24, 0.23, 0.22],
  "total_charge": 0,
  "smiles": "C[C@H]1N(N=C=O)[C@]1(Cl)c1ccccc1",
  "e_homo_ev": -9.42
}


Relative calculated energies, zero for the most stable structure, unit eV: 1) 0.000; 2) 0.085.


1) {
  "formula": "C3H3BrF2O2",
  "method": "the ωB97M-V functional and the def2-TZVPD basis",
  "species": ["C", "C", "C", "O", "O", "F", "F", "Br", "H", "H", "H"],
  "coordinates": [[1.199, 0.591, -0.797], [-0.390, 0.258, -0.381], [-0.377, -1.068, 0.525], [1.600, 1.637, -0.467], [-1.101, 1.294, 0.152], [-1.704, -1.249, 0.792], [-0.002, -2.190, -0.083], [0.787, -0.887, 2.072], [1.699, -0.170, -1.396], [-0.969, 0.092, -1.370], [-0.744, 1.691, 0.952]],
  "nbo_charge": [0.42, -0.05, 0.61, -0.48, -0.68, -0.33, -0.32, 0.00, 0.13, 0.21, 0.49],
  "total_charge": 0,
  "smiles": "O=C[C@H](O)C(F)(F)Br",
  "e_homo_ev": -10.04
}


2) {
  "formula": "C3H3BrF2O2",
  "method": "the ωB97M-V functional and the def2-TZVPD basis",
  "species": ["C", "C", "C", "O", "O", "F", "F", "Br", "H", "H", "H"],
  "coordinates": [[1.426, -0.762, -0.426], [1.294, 0.061, 0.597], [-0.727, 1.130, 0.005], [0.279, 0.988, 0.792], [-1.603, -1.106, 0.254], [-1.698, 1.891, 0.424], [-0.622, 1.138, -1.303], [-3.275, -1.174, -0.101], [2.242, -1.458, -0.447], [0.723, -0.813, -1.240], [1.961, 0.104, 1.446]],
  "nbo_charge": [-0.40, 0.09, 1.20, -0.45, -0.90, -0.24, -0.26, 0.28, 0.23, 0.23, 0.21],
  "total_charge": 0,
  "e_homo_ev": [-8.16, -8.08]
}


Relative calculated energies, zero for the most stable structure, unit eV: 1) 0.000; 2) 4.032.


1) {
  "formula": "C4H13NO2",
  "method": "the ωB97M-V functional and the def2-TZVPD basis",
  "species": ["C", "N", "C", "C", "C", "O", "H", "H", "H", "H", "H", "H", "H", "H", "H", "H", "H", "H", "H", "O"],
********

-- Outcome --
  "formula": "C3H3BrF2O2",
  "formula": "C3H3BrF2O2",